Sunday, November 20, 2011

Two (or three) speed Europe

As the crisis has reached its peak,  the division between the core and the periphery of Europe becomes more acute. Neither the European councils nor the G-20 summit have triggered confidence in the economic governance system that was put in place with great difficulties. Tensions over Italy and Spain have in fact led to the idea of a two speed Europe with a hardcore around France and Germany while tensions between the euro area and the UK are revived. The prospect of a deep recession, as warned by the ECB, feeds the economic pessimism over the current possibility to deal with the crisis within the confines of the Lisbon treaty.

P. Krugman  argues that the euro crisis is about 'original sin' (in the economic sense), meaning that countries like Italy, by joining the euro, converted its status of economic power, as a country issuing its debt in its own currency into a situation with debts in euro, which makes it more vulnerable to financial crises. This principle was inherent in the European monetary union, but no governance rules were  introduced to help address possible financial crisis due to the financial orthodoxy imposed by Germany. 

Beyond this apparent contradiction,  N.Roubini explains that the structural causes of the eurozone crisis are much deeper and do not lie in a fiscal crisis. The divergence in real exchange rates and the strength of the euro - which introduces a competitive shock on weaker economies- largely explain the current crisis. Over the past ten years, the southern economies , which include Cyprus, Greece, Italy, Ireland, Portugal and Spain- were essentially consumers ' of first and last resort', with budget gaps exceeding their respective incomes. In addition, the private sector had also accrued considerable debts, fueled by the housing bubbles, especially in Spain and Ireland. On the other hand, the other countries- Germany, France, Austria and the Netherlands- were producers 'of first and last resort'  resulting in a growing surplus in current account balances, which was exacerbated by the strength of the euro. So, the large current account deficits, due to excessive consumption, led to loss of competitiveness and economic stagnation.

N. Roubini's argument points to the following option:  "Symmetrical reflation is the best option for restoring growth and competitiveness on the eurozone's periphery while undertaking necessary austerity measures and structural reforms. This implies significant easing of monetary policy by the European Central Bank; provision of unlimited lender-of-last-resort support to illiquid but potentially solvent economies; a sharp depreciation of the euro, which would turn current-account deficits into surpluses; and fiscal stimulus in the core if the periphery is forced into austerity". 

This solution is vigorously opposed by Germany and the ECB as it would have (modest) inflationary effects in core countries relative to the periphery. The bitter medicine that they are imposing on the 'peripheral' countries is deflation with recessionary effects: fiscal austerity, structural reforms and real depreciation. Austerity policies reduce output in the short term, due to lower demand and productivity effects linked to structural reforms and reduction of nominal wages and prices. This will become socially unsustainable, and if peripheral countries remain caught in a deflationary debt trap, they might be tempted to default and exit the euro area. In this scenario, "coercive restructurings of debt will come first, and then exits from the monetary union that will eventually lead to the eurozone’s disintegration".

Alternatively, the possibility of a break up of Europe, especially with Italy too big to fail or to save - and the contagion of the debt crisis to France, could lead to a closer political Union, which would require new forms of economic governance. The Netherlands Bureau for Economic Policy Analysis pointed out in a recent report that the debt burden of southern countries is not only the consequence of lax fiscal policies, but that  banks from the northern euro area have lent too much money to Greece and other troubled countries without any effective supervision in the banking system. It also believes all euro area countries should give up some national sovereignty when it comes to bank supervision, the EFSF, the deposit-guarantee scheme and budget supervision.

The German-French 'Directoire' no longer works and may be extended now to Italy - with the Monti government close to European affairs - with a view to build  more effective supranational institutions, in particular more economic powers to the ECB as a functioning lender of last resort, fiscal integration (with permanent fiscal transfers from the core to the periphery) and a common sovereign debt with the emission of euro-bonds. This project seemed unrealistic only a few weeks ago, now, with the opening of a strong divide with the UK and non euro-countries, it may even sound plausible in a few years time with a revised EU treaty.

P.S: Last week, José Manuel Barroso, President of the European Commission, warned that the collapse of the euro area would destroy half of the value of European economy, which would swamp the region to depression similar in scale to that of 1930. 

Sunday, November 6, 2011

Tell the Truth

Adam Smith wrote in his "Wealth of Nations"* (1776) : "the violence and injustice of the rulers of mankind is an ancient evil for which, I am afraid, the nature of human affairs can scarce admit a remedy. But the mean rapacity, the monopolizing spirit of merchants and manufacturers, who neither are, nor ought to be, the rulers of mankind, though it cannot perhaps be corrected may very easily be prevented from disturbing the tranquillity of anybody but themselves". The father of economic liberalism, who also was a professor of moral philosophy reckoned that although the economic system was profoundly unfair, there was little to do to correct the current state of affairs. The 'laissez-faire' can only be offset by wise behaviour of men. In fact, since its foundation, capitalism needs rules to limit and control the functioning of markets and the State has the responsibility to design these rules and to enforce them. For this reason, the current crisis is also a political crisis that we should understand as a crisis of the State as well as a moral crisis where ethical values are substituted by electoral promises.

Our political leaders should tell citizens that global crises require global, wide ranging solutions. They decide on limited, short term measures which will not allow us to get out from the current mess. They often lie to hide the gravity of the situation: most countries claimed that they had the most solid financial system and they end up saying that they need to recapitalize banks. But they avoid arguing about the true causes of the global crisis.

The G-20 summit in Cannes (3-4 November) was, in that respect, very disappointing given the high expectations raised , in particular on strengthening the international financial system . The final declaration is extremely vague: for example, it calls for a global strategy for growth and jobs and refers to a vague commitment to take "discretionary measures to support domestic demand, should economic conditions materially worsen" . In substance, the summit has failed to provide a coordinated response to the sovereign debt crisis and all big questions (for instance the financial supervision and regulation issues) remain unresolved. Moreover, it shows the inability of nations with different interests, and often ruled by political coalitions, to take collective actions to transform the rules and structure of the world economy.

**Someone pasted quantum chemistry results at this point**
-- begin --
Run i
ORCA calculation (ωB97M-V/def2-TZVPD) on one molecule with the formula C4H2F2O.

Values from the calculation:
- lowest unoccupied orbital energy (alpha / beta) (eV) = -0.229 / -2.959
- multiplicity = 1
- highest occupied orbital energy (alpha / beta) (eV) = -10.94 / -8.67
- total charge = 0

Last column: Mulliken charge in e.
Element x y z (Å)
C -1.374 -2.397 0.642  0.10
C -0.522 -1.584 0.392  -0.53
C 0.302 -0.291 -0.148  0.47
C 1.726 -0.257 0.065  0.33
O -0.517 0.815 0.056  -0.50
F 2.278 0.101 1.150  -0.21
F 2.556 -1.029 -0.667  -0.20
H 0.103 -0.565 -1.145  0.18
H -0.661 0.898 1.086  0.38

***

Run ii
ORCA calculation (ωB97M-V/def2-TZVPD) on a 2-piece molecular cluster, C4H2F2O overall.

Values from the calculation:
- lowest unoccupied orbital energy (alpha / beta) (eV) = -1.628 / -1.629
- multiplicity = 1
- highest occupied orbital energy (alpha / beta) (eV) = -9.74 / -9.74
- total charge = 0

Last column: Mulliken charge in e.
Element x y z (Å)
C -2.730 0.339 -0.610  -0.32
C -1.575 0.642 -0.582  -0.43
C 0.887 0.793 0.160  0.30
C 1.331 -0.620 0.390  0.52
O 1.395 1.842 0.230  -0.22
F 2.599 -0.804 -0.038  -0.20
F 0.568 -1.516 -0.256  -0.18
H -3.758 0.159 -0.768  0.39
H 1.284 -0.836 1.473  0.14

***

Run iii
ORCA calculation (ωB97M-V/def2-TZVPD) on C4H2F2O as an isolated structure.

Values from the calculation:
- lowest unoccupied orbital energy (eV) = -1.446
- multiplicity = 1
- highest occupied orbital energy (eV) = -11.31
- total charge = 0

Last column: Mulliken charge in e.
Element x y z (Å)
C 1.505 -1.918 -0.050  -0.03
C 0.833 -0.888 0.054  0.00
C 0.379 0.516 -0.299  -0.31
C -0.169 -0.063 0.922  0.70
O -0.722 0.849 -1.722  -0.53
F -1.414 -0.533 0.800  -0.21
F 0.077 0.241 2.192  -0.21
H 1.028 1.404 -0.539  0.28
H -1.518 0.391 -1.358  0.32

***

List of relative energies, unit hartree: run i 0.0669; run ii 0.0000; run iii 0.0383

***

Run i
ORCA calculation (ωB97M-V/def2-TZVPD) on one molecule with the formula CH3NS2.

Values from the calculation:
- lowest unoccupied orbital energy (eV) = 0.261
- multiplicity = 1
- highest occupied orbital energy (eV) = -8.58
- total charge = 0

Last column: Mulliken charge in e.
Element x y z (Å)
C -0.807 -0.112 0.435  0.03
N 0.117 0.265 -0.413  -0.28
S -2.410 0.003 0.037  -0.35
S 1.783 0.345 0.120  -0.13
H -0.685 -0.516 1.508  0.28
H -0.173 0.887 -1.091  0.27
H 2.175 -0.873 -0.596  0.18

***

Run ii
ORCA calculation (ωB97M-V/def2-TZVPD) on one molecule with the formula CH3NS2.

Values from the calculation:
- lowest unoccupied orbital energy (eV) = -0.258
- multiplicity = 1
- highest occupied orbital energy (eV) = -8.86
- total charge = 0

Last column: Mulliken charge in e.
Element x y z (Å)
C -0.957 1.195 -0.583  -0.08
N 0.990 -0.689 0.545  -0.51
S -1.952 0.111 -1.156  -0.26
S 0.471 0.935 0.460  0.08
H 0.954 -1.271 -0.274  0.27
H 0.508 -1.266 1.251  0.26
H -0.767 2.277 -0.770  0.24

***

Run iii
ORCA calculation (ωB97M-V/def2-TZVPD) on a 2-piece molecular cluster, CH3NS2 overall.
-- stop --

In a speech held in September 2008, Sarkozy pledged " laissez faire is over (...) The financial crisis is not the crisis of capitalism. It is the crisis of a system that has distanced itself from the most fundamental values of capitalism, which betrayed the spirit of capitalism".He called banks to develop credit rather than speculation and limit traders' remuneration. In 2009 and 2010, despite joint calls with Merkel, little has been done to regulate the European financial market and ban high risk practices (derivatives, credit default swaps, short term selling, etc.) In August 2011, the aggression of financial speculation against sovereign debt shows that financial markets can still act freely, forcing European leaders to strengthen economic governance of the euro zone.

At global level, binding rules on capital requirements have been introduced for banks to limit their profits but in return they create an incentive to generate more profits, which restricts credits to enterprises. In the aftermath of the financial crisis in 1929, the Glass-Steagall Act introduced a strict separation between investment banks and commercial banks to regulate the US banking sector and avoid conflicts of interest and fraud. this provision was removed in 1999 (with a law signed by Bill Clinton !) which led to re-establishing conflict of interest in the financial sector and fostering 'too big to fail institutions' that led to the housing market collapse and the sub-prime crisis. Subsequently, heavily indebted banks were rescued without asking anything in return, no incentives to provide credit to the real economy and no ban on high risk financial activities.

Despite the gravity of the crisis and its consequences on the vast majority of citizens, most political leaders are still reluctant to introduce effective measures to tax the rich, ban tax havens or limit trading bonuses. Adam Smith wrote : "Wherever there is great property, there is great inequality". For the first time in the last two centuries, the new generations living in western countries do not have any hope of a better future than their fathers. They express discouragement and fear of being the victims of a historical regression in western civilization and values. They only have indignation to demand global change and put an end to enormous privileges of a tiny fraction of the population. But this is a legitimate fear that we must overcome if we are capable to return to genuine politics that the political leaders have lost, its capacity  to represent the interests of all, the profound aspirations and needs of the citizens to live in a better world. This is possible if they just start telling the truth.

* A.Smith. An Inquiry into the Nature and Causes of the Wealth of Nations. Ed. R. H. Campbell and A. S. Skinner. 2 vols. Glasgow Edition of the Works and Correspondence of Adam Smith 2. Oxford U. Press, 1976.